### Given
/*
For LaUPa, a DFT-relaxed cell (GGA-PBE, Alexandria) gives the calculated powder XRD pattern in this record (Cu Kα).

Main lines, in order of rising 2θ (5° ≤ 2θ ≤ 70°):
| 2θ (°) | I/Imax | index |
| --- | --- | --- |
| 13.74 | 62.2 | 0 0 2 |
| 27.68 | 17.2 | 0 0 4 |
| 31.30 | 100.0 | 1 0 3 |
| 33.77 | 70.7 | 0 2 3 |
| 35.46 | 81.5 | 1 2 0 |
| 42.27 | 17.1 | 1 0 5 |
| 45.57 | 16.0 | 1 2 4 |
| 47.51 | 21.2 | 2 0 0 |
| 55.37 | 17.7 | 1 0 7 |
| 59.55 | 29.3 | 2 2 3 |

```
data_LaUPa
_chemical_formula_sum 'La4 U4 Pa4'
_cell_length_a 3.827
_cell_length_b 6.751
_cell_length_c 12.890
_cell_angle_alpha 90.00
_cell_angle_beta 90.00
_cell_angle_gamma 90.00
_symmetry_space_group_name_H-M 'P 21 21 21'
_symmetry_Int_Tables_number 19
loop_
_symmetry_equiv_pos_as_xyz
'x,y,z'
'-x+1/2,-y,z+1/2'
'x+1/2,-y+1/2,-z'
'-x,y+1/2,-z+1/2'
loop_
_atom_site_label
_atom_site_fract_x
_atom_site_fract_y
_atom_site_fract_z
La1 0.000 0.126 0.247
U1 0.001 0.105 0.553
Pa1 0.001 0.579 0.552
```

----------

Entry 1:
The following is a computed powder X-ray diffraction pattern of LaPrCu2B2N2. It was derived from a crystal structure in OQMD, relaxed with PBE, using a wavelength of 1.5418 Å.
No peak broadening, texture or thermal motion is included.

Structural model:
Cell: 3.704 3.704 7.808 Å, 90.00 90.00 90.00°
Space group P4mm (No. 99)
Inequivalent atoms, fractional coordinates:
1 La 0.000 0.000 0.000 [1 per cell]
2 Pr 0.500 0.500 0.340 [1 per cell]
3 Cu 0.000 0.500 0.667 [2 per cell]
4 B 0.000 0.000 0.502 [1 per cell]
5 B 0.500 0.500 0.835 [1 per cell]
6 N 0.000 0.000 0.318 [1 per cell]
7 N 0.500 0.500 0.019 [1 per cell]

Most intense lines, 10 to 90 degrees two-theta, by angle:
26.64°, d = 3.346 Å, I 100.0
33.35°, d = 2.687 Å, I 66.3
34.46°, d = 2.603 Å, I 55.6
36.18°, d = 2.483 Å, I 84.5
41.52°, d = 2.175 Å, I 66.8
49.20°, d = 1.852 Å, I 45.4
56.82°, d = 1.620 Å, I 26.8
61.45°, d = 1.509 Å, I 39.5

---

Entry 2:
The following is a computed powder X-ray diffraction pattern of LiCu2B. It was derived from a crystal structure in OQMD, relaxed with PBE, using a wavelength of 1.5418 Å.
No peak broadening, texture or thermal motion is included.

Structural model:
Cell: 5.467 5.467 5.467 Å, 90.00 90.00 90.00°
Space group Pm-3m (No. 221)
Inequivalent atoms, fractional coordinates:
1 Li 0.000 0.000 0.000 [1 per cell]
2 Li 0.000 0.000 0.500 [3 per cell]
3 Cu 0.273 0.273 0.273 [8 per cell]
4 B 0.000 0.500 0.500 [3 per cell]
5 B 0.500 0.500 0.500 [1 per cell]

Most intense lines, 10 to 90 degrees two-theta, by angle:
16.21°, d = 5.467 Å, I 19.2
32.76°, d = 2.733 Å, I 100.0
47.01°, d = 1.933 Å, I 95.7
58.48°, d = 1.578 Å, I 19.6
61.12°, d = 1.516 Å, I 13.2
68.67°, d = 1.367 Å, I 11.8
78.20°, d = 1.222 Å, I 18.9
87.39°, d = 1.116 Å, I 20.4
*/

### To do
The reader should type out the lines further above up to the one that holds "0.502 [1", that line included.

### Written answer
For LaUPa, a DFT-relaxed cell (GGA-PBE, Alexandria) gives the calculated powder XRD pattern in this record (Cu Kα).

Main lines, in order of rising 2θ (5° ≤ 2θ ≤ 70°):
| 2θ (°) | I/Imax | index |
| --- | --- | --- |
| 13.74 | 62.2 | 0 0 2 |
| 27.68 | 17.2 | 0 0 4 |
| 31.30 | 100.0 | 1 0 3 |
| 33.77 | 70.7 | 0 2 3 |
| 35.46 | 81.5 | 1 2 0 |
| 42.27 | 17.1 | 1 0 5 |
| 45.57 | 16.0 | 1 2 4 |
| 47.51 | 21.2 | 2 0 0 |
| 55.37 | 17.7 | 1 0 7 |
| 59.55 | 29.3 | 2 2 3 |

```
data_LaUPa
_chemical_formula_sum 'La4 U4 Pa4'
_cell_length_a 3.827
_cell_length_b 6.751
_cell_length_c 12.890
_cell_angle_alpha 90.00
_cell_angle_beta 90.00
_cell_angle_gamma 90.00
_symmetry_space_group_name_H-M 'P 21 21 21'
_symmetry_Int_Tables_number 19
loop_
_symmetry_equiv_pos_as_xyz
'x,y,z'
'-x+1/2,-y,z+1/2'
'x+1/2,-y+1/2,-z'
'-x,y+1/2,-z+1/2'
loop_
_atom_site_label
_atom_site_fract_x
_atom_site_fract_y
_atom_site_fract_z
La1 0.000 0.126 0.247
U1 0.001 0.105 0.553
Pa1 0.001 0.579 0.552
```

----------

Entry 1:
The following is a computed powder X-ray diffraction pattern of LaPrCu2B2N2. It was derived from a crystal structure in OQMD, relaxed with PBE, using a wavelength of 1.5418 Å.
No peak broadening, texture or thermal motion is included.

Structural model:
Cell: 3.704 3.704 7.808 Å, 90.00 90.00 90.00°
Space group P4mm (No. 99)
Inequivalent atoms, fractional coordinates:
1 La 0.000 0.000 0.000 [1 per cell]
2 Pr 0.500 0.500 0.340 [1 per cell]
3 Cu 0.000 0.500 0.667 [2 per cell]
4 B 0.000 0.000 0.502 [1 per cell]